Submission Guidelines
• Submissions due September 22 •
## Here the page breaks off for molecular data
{
  "formula": "C32H52BN8O5RbSb",
  "method": "ωB97M-V/def2-TZVPD",
  "spin_multiplicity": 2,
  "e_above_lowest_kj_mol": 0.0,
  "mol_weight_g_mol": 846.9,
  "gap_ev": [7.557, 6.783],
  "total_energy_ha": -2353.99810,
  "lumo_ev": [-0.08, -1.29],
  "species": ["Rb", "O", "C", "O", "C", "O", "C", "C", "O", "O", "H", "H", "H", "H", "H", "C", "C", "C", "C", "N", "N", "B", "N", "C", "C", "C", "C", "N", "N", "C", "C", "C", "C", "N", "N", "C", "C", "C", "C", "N", "H", "H", "H", "H", "H", "H", "H", "H", "H", "H", "H", "H", "H", "H", "H", "H", "H", "H", "H", "H", "C", "C", "C", "C", "Sb", "C", "C", "C", "C", "C", "C", "C", "C", "H", "H", "H", "H", "H", "H", "H", "H", "H", "H", "H", "H", "H", "H", "H", "H", "H", "H", "H", "H", "H", "H", "H", "H", "H", "H", "H"],
  "positions_angstrom": [[0.14, 3.08, 0.92], [1.49, -1.62, 2.00], [1.81, -1.08, 0.83], [0.95, -0.66, -0.01], [3.31, -0.93, 0.72], [3.82, -0.54, -0.57], [4.26, 0.85, -0.65], [3.01, 1.77, -0.56], [2.71, 2.39, 0.47], [2.30, 1.88, -1.64], [0.57, -1.73, 2.17], [3.75, -1.88, 0.97], [3.55, -0.10, 1.42], [4.81, 0.87, -1.60], [4.90, 1.22, 0.16], [2.46, 1.79, 3.77], [1.16, 1.15, 4.20], [0.82, 0.48, 5.35], [-0.46, 0.01, 5.13], [-0.86, 0.42, 3.89], [0.14, 1.10, 3.30], [-2.21, 0.22, 3.21], [-2.55, 1.54, 2.49], [-2.55, 2.72, 3.18], [-3.04, 3.66, 2.37], [-3.33, 3.01, 1.12], [-3.79, 3.71, -0.06], [-3.03, 1.74, 1.20], [-2.26, -0.88, 2.11], [-3.22, -1.12, 1.13], [-2.88, -2.29, 0.48], [-1.78, -2.86, 1.18], [-0.99, -4.14, 0.93], [-1.39, -2.00, 2.13], [-3.25, -0.20, 4.28], [-3.95, -1.40, 4.36], [-4.38, -1.65, 5.64], [-3.99, -0.45, 6.31], [-4.27, -0.13, 7.73], [-3.26, 0.36, 5.57], [2.30, 2.70, 3.22], [2.97, 1.09, 3.08], [3.14, 1.98, 4.56], [1.55, 0.29, 6.11], [-1.05, -0.50, 5.86], [-2.30, 2.74, 4.22], [-3.05, 4.68, 2.66], [-3.11, 4.51, -0.34], [-4.67, 4.27, 0.21], [-4.07, 3.14, -1.01], [-3.89, -0.35, 0.84], [-3.33, -2.71, -0.35], [-1.48, -4.90, 0.31], [-0.83, -4.51, 1.98], [-0.05, -3.96, 0.46], [-3.89, -2.06, 3.47], [-4.89, -2.51, 5.98], [-3.47, -0.64, 8.35], [-5.27, -0.51, 7.90], [-4.26, 0.94, 7.81], [-1.31, -0.97, -2.28], [-0.51, 0.20, -2.83], [-1.17, 0.51, -4.19], [-0.69, 1.44, -1.93], [1.65, -0.10, -2.97], [1.92, -2.24, -3.54], [3.46, -2.30, -3.86], [1.65, -2.98, -2.27], [1.12, -2.76, -4.68], [2.53, 1.11, -4.60], [4.05, 1.01, -4.43], [2.11, 0.67, -6.03], [2.13, 2.57, -4.32], [-2.27, -0.62, -2.08], [-1.03, -1.40, -1.30], [-1.25, -1.75, -3.03], [-2.22, 0.79, -3.97], [-1.16, -0.33, -4.90], [-0.66, 1.25, -4.79], [-1.74, 1.70, -1.92], [-0.05, 2.33, -2.29], [-0.29, 1.25, -0.93], [3.90, -1.71, -3.06], [3.68, -1.80, -4.84], [3.88, -3.27, -3.83], [2.18, -2.39, -1.40], [2.12, -3.98, -2.34], [0.64, -3.08, -2.05], [1.20, -2.20, -5.63], [0.04, -2.78, -4.53], [1.38, -3.81, -4.91], [4.44, 0.00, -4.35], [4.38, 1.61, -3.55], [4.57, 1.40, -5.31], [2.46, -0.33, -6.19], [2.65, 1.26, -6.74], [1.03, 0.74, -6.24], [2.56, 2.99, -3.41], [1.08, 2.82, -4.29], [2.67, 3.17, -5.13]],
• Email your submission to slideshowatMOCA@gmail.comThis e-mail address is being protected from spambots. You need JavaScript enabled to view it •
1. Digital Images
• Please submit 8-10 images
• All images should be in JPEG format at 100 dpi.
• Please assign each image a file name in this format:
Your initials and the order in which they should be presented:
Example for Jane Doe's first image's file name: jd1.jpeg
2. Image List
• Please list the images in the order in which you would like to present them.
* The text document that accompanies your submission must contain the following information for each image:
-Your Name
-Image title (jd1.jpeg)
-Title of work
-Year created
1. Jane Doe, jd1, Umbrellas, Mixed media, 2007, Dimensions variable
2. Jane Doe, jd2, Portrait, Color Photograph, 2008, 8x10 in.
3. Jane Doe, jd3, Untitled, Color Photograph, 2008, 11x14 in.
3. Artist Statement
The 150-200 word artist statement is meant to briefly introduce your art to the jurors.
This statement will be used as the basis for your slideshow presentation.
4. Questionnaire
Please include the following information in both the body of the email as well in your text file attachment:
1. Name
2. Address
3. Phone Number(s)
Records of molecules from another source follow =
____________
Arrangement P

This record from OMol25 describes a structure of composition C28H18F5N4O4PdS3Se. The level of theory is wB97M-V/def2-TZVPD.

The geometry in ORCA input format:
```
! RIJCOSX wB97M-V def2-TZVPD def2/J DEFGRID3
* xyz -1 1
N 1.989 1.068 2.179
C -2.405 -0.560 -1.953
H 4.824 -5.567 3.339
H -3.742 4.638 -4.741
C 4.634 -1.786 2.583
Pd 0.946 0.646 0.517
H 4.797 -1.505 4.696
C -3.083 3.705 -2.924
H 4.583 -0.726 2.360
H -2.290 2.559 -1.287
F -1.847 6.429 -0.293
C -2.562 2.895 -5.134
C -0.097 -3.737 0.409
H -5.626 -2.264 -0.758
O -0.267 0.805 -1.303
H -4.688 -2.821 -2.975
O 5.259 -1.106 -0.365
C -2.886 -0.277 -0.684
S -0.947 0.299 -2.531
S 1.596 -3.887 0.088
H -4.445 -0.673 0.725
C -2.389 2.649 -2.362
H 4.659 -3.375 6.192
H -2.335 0.393 -0.035
C 4.819 -3.590 4.171
H -2.615 3.003 -6.209
C -4.054 -0.891 -0.261
H -2.627 -1.688 -3.764
O 0.739 2.568 0.260
C -1.716 5.212 0.254
H -0.734 -4.600 0.508
C -0.365 3.184 0.555
H 4.660 -4.967 5.669
S 4.274 -2.113 -0.093
C 4.758 -2.224 3.885
C 3.019 1.477 1.742
C -4.710 -1.792 -1.091
H 4.608 -4.769 0.993
N 2.847 -1.398 0.006
C -1.859 1.832 -4.579
F -3.859 5.419 1.255
C -1.435 2.706 1.333
F 0.364 5.002 -0.769
H -1.358 1.108 -5.210
C -2.588 3.440 1.563
H -1.447 -2.075 0.631
C 4.775 -4.505 3.124
Se 4.570 2.094 1.213
O 4.232 -3.282 -0.954
C -1.800 1.711 -3.201
H -3.546 4.442 -2.281
C 4.571 -2.710 1.542
C -4.195 -2.092 -2.345
C -2.742 4.704 1.034
F -1.401 1.465 1.857
C 1.756 -2.137 0.116
C -0.444 -2.439 0.471
F -3.574 2.907 2.300
N 0.573 -1.534 0.297
C -0.577 4.472 0.021
C -3.182 3.819 -4.308
C -3.036 -1.469 -2.785
N 4.971 -4.027 5.492
C 4.649 -4.065 1.813
*
```

- LUMO (eV) = 1.81
- HOMO level (eV) = -4.89
- orbital gap (Ha) = 0.24595

Here are the natural (NBO) charges for atoms 1 to 4, given in e: -0.613 -0.172 0.198 0.214

***

Arrangement Q

This record from OMol25 describes a structure of composition C28H18F5N4O4PdS3Se. The level of theory is wB97M-V/def2-TZVPD.

The geometry in ORCA input format:
```
! RIJCOSX wB97M-V def2-TZVPD def2/J DEFGRID3
* xyz -1 1
C -1.098 3.070 1.779
H 3.683 2.429 -2.587
H -1.079 4.879 2.921
C 0.147 -0.731 -3.841
C 0.824 0.905 -5.450
H -1.739 -3.054 -4.855
H -0.178 2.793 -5.316
C -0.863 3.148 4.176
C -0.897 1.028 3.028
F 0.148 -2.242 6.405
N -0.802 3.874 5.366
C -1.017 3.797 2.951
O 2.279 -0.363 1.705
H -0.746 1.242 5.151
H -0.882 -0.053 3.054
H -1.404 -0.152 -2.468
C 0.979 -2.052 2.867
H -3.288 -3.309 -0.162
C 1.033 1.591 -0.992
C 4.324 -2.664 -0.188
H -4.068 -3.737 -4.357
C -1.009 1.683 1.810
N 2.230 1.381 -1.469
F 1.652 0.034 6.326
H -0.345 3.387 6.121
C 1.970 -0.221 4.005
H -1.600 2.110 -3.400
C 2.699 2.477 -2.142
N 3.235 -2.278 -0.062
C 0.441 -2.493 4.064
Pd 1.765 -0.970 -0.125
C 0.948 -0.367 -4.914
C -3.388 -3.500 -3.549
H -0.452 4.813 5.263
C 1.876 3.548 -2.184
C -0.092 1.794 -4.907
N 0.416 0.579 -0.286
S 0.456 -2.338 -3.130
O -1.551 -0.558 0.645
Se 5.971 -3.327 -0.370
F 0.707 -2.779 1.773
O 1.111 -2.185 -1.794
H 1.674 -1.068 -5.309
H -1.239 3.576 0.836
____________
4. Email Address (the one your check most often)
5. Website URL (if applicable)
6. University, year, degree and area of focus, graduation date
7. Title of project, if applicable
*Checklist for Submissions
All submissions must contain this information in whole to be considered for the slideshow.
Please e-mail slideshowatmoca@gmail.comThis e-mail address is being protected from spambots. You need JavaScript enabled to view it :
1. 8-10 digital images, with the appropriate file name (Example: jd1.jpeg, jd2.jpeg, jd3.jpeg...)
2. A text document containing:
* An Image list containing: your name, image title (ex: jd2), title of work, media, year and dimensions FOR EACH IMAGE.
* 150-200 word artist statement.
* Questionnaire that includes your contact information and school information.
*Note: Please do not send PowerPoints or PowerPoint slides as your submission!
Attach your 8-10 jpegs and a text document containing
1) your slide list, 2) your artist statement and 3) your questionnaire answers to your submission e-mail.
Email your submission to slideshowatMOCA@gmail.comThis e-mail address is being protected from spambots. You need JavaScript enabled to view it by September 22, 2008.
== Calculated molecules from another source follow ==
- - -
No. 1
This record from the OMol25 dataset describes a structure of composition C8H10KN2O4S. The level of theory is wB97M-V/def2-TZVPD.

ORCA input file:
```
! wB97M-V def2-TZVPD RIJCOSX def2/J DEFGRID3
* xyz -1 1
C -4.76 -0.31 -1.06
H -3.34 2.26 -2.32
H 4.05 -4.10 -0.26
N -3.75 1.51 -1.78
C 3.51 -2.64 2.57
H 3.24 -4.63 2.04
K -0.42 -0.78 0.25
C -4.73 0.51 0.05
H -5.12 0.33 1.04
H 3.37 -2.87 3.61
H 4.31 -1.49 -0.42
O 0.11 4.95 -1.25
O 2.38 4.75 -0.70
H 4.09 -0.59 2.28
C -4.20 0.30 -2.17
C 3.97 -1.98 0.48
O 0.86 3.52 0.60
C -3.96 1.62 -0.42
H -4.17 0.00 -3.21
S 1.14 4.03 -0.73
H -5.24 -1.27 -1.01
N 3.40 -3.69 1.72
H -3.70 2.57 0.01
O 1.26 2.90 -1.66
C 3.89 -1.57 1.87
C 3.81 -3.34 0.47
*
```

The value obtained for the LUMO energy is 0.5 eV. As for the orbital gap: 2.1 eV. The total energy comes out at -46786.652 eV.

---

No. 2
This record from the OMol25 dataset describes a cluster of 2 separate species, C2H8NO in total. The level of theory is wB97M-V/def2-TZVPD.

ORCA input file:
```
! wB97M-V def2-TZVPD RIJCOSX def2/J DEFGRID3
* xyz 1 1
H -1.03 1.11 0.85
H -2.10 0.97 -1.33
H -1.44 -0.11 -2.64
H 2.48 -0.99 1.56
H 0.38 1.65 0.02
H 0.50 0.41 1.15
H 1.14 -1.91 1.65
H 0.46 -0.83 -0.90
C -1.43 0.15 -1.60
C -0.40 -0.15 -0.79
N -0.15 0.80 0.38
O 1.58 -1.09 1.65
*
```

The value obtained for the LUMO energy is -3.7 eV. As for the orbital gap: 11.7 eV. The total energy comes out at -5733.471 eV.

---

No. 3
This record from the OMol25 dataset describes a structure of composition C8H12NS. The level of theory is wB97M-V/def2-TZVPD.

ORCA input file:
```
! wB97M-V def2-TZVPD RIJCOSX def2/J DEFGRID3
* xyz 1 1
H -0.54 -1.29 1.04
H 0.35 -2.44 -2.24
H -2.20 2.50 1.92
H 2.11 -1.90 0.13
S 3.20 -2.30 -2.03
C -1.60 0.37 1.63
H 0.59 -0.26 -2.34
C 1.95 -1.87 -0.92
H 0.12 2.08 -1.43
H -0.73 2.17 2.73
H -0.20 -2.65 -0.70
C -0.32 1.70 -0.49
C -0.65 -0.29 0.78
C 0.51 -0.58 -1.31
C -0.19 0.18 -0.34
C -0.74 2.46 0.50
C -1.29 1.88 1.74
H -0.64 3.54 0.58
H 4.13 -1.29 -1.57
H -2.66 0.41 1.16
N 0.49 -2.08 -1.33
H -1.69 -0.31 2.49
*
```

The value obtained for the LUMO energy is -4.2 eV. As for the orbital gap: 7.6 eV. The total energy comes out at -20804.809 eV.

---

No. 4
This record from the OMol25 dataset describes a structure of composition C37H33ClN3O4PS2V. The level of theory is wB97M-V/def2-TZVPD.

ORCA input file:
```
! wB97M-V def2-TZVPD RIJCOSX def2/J DEFGRID3
* xyz -2 4
C -0.88 -1.82 -5.24
C -0.36 -1.97 -3.97
S 1.12 2.21 6.27
H 4.16 0.59 0.86
H 0.11 -3.99 -1.38
C -0.95 -1.95 -0.63
C 0.87 -0.45 7.43
C -0.43 0.44 -3.64
C 0.03 0.16 5.25
C -2.16 -2.25 -1.25
N -0.87 5.17 -1.13
H 1.36 -0.17 8.35
H 0.64 -2.51 2.31
C -0.45 -1.12 5.04
C 0.46 -1.87 1.45
C -2.99 -3.24 0.77
H -3.24 1.49 -1.37
H 0.51 -2.49 7.99
C 0.39 -1.74 7.22
H -0.70 6.14 -0.90
H -1.66 -3.17 2.45
H -3.05 6.36 -2.56
C 3.42 -3.73 -1.76
N -1.00 3.00 -0.53
H -1.67 -0.44 -6.68
C -3.17 -2.89 -0.56
H 1.04 1.76 -2.93
H -1.04 -2.69 -5.88
H 1.33 -1.91 0.79
C -0.37 4.17 -0.29
H -4.96 4.94 -3.28
C 4.15 -1.54 -2.38
- - -
All selected participants must present the submitted work unless specific arrangements are made otherwise.
Selected participants must provide a current schedule as proof of enrollment.